-Sri B.V.Raghunandan, SVS College, BantwalTalks never tire of reforming the curriculum, evaluation and the quality of output of Higher Education. Every time, one comes across such talks, the hopes rear their head that better days are ahead for the system. But, a keen observer will only tremble every time the talks rear their head. He has become a cynic as every single effort in the past only moved the evaluation system from one level of depravity to a higher level of depravity. The competition is never found wanting in pushing down the system towards an abyss from which there can be no return. The tragic state of affairs has reached a level that most of the educationists who should be evaluating the system with the critical eyes of a scholar have welded their mindset to a unidirectional system of plagiarizing the system of some other country with no relevance and no debate about its validity. All those who support the system are progressive educationists and the people who criticize are branded as conservative or old fashioned people.
Very often, we come across the criticism of the British Education System and the derision that is showered on Lord Macaulay. Most of the positive aspects of the present education system are those that have not been changed until now. The scientific approach made to determine the workload of the teachers and its adoption by most of the Universities is one such example. One shudders to think what would have happened if it were to be decided by the present educationists, who are academically uncivilized barbarians. If one pauses to think about the quality of products turned out by the universities in 1950s and 1960s, the quality of the scholarship of most of our national leaders present the stark contrast to the products of the present day university system. The likes of Gandhi, Subhash Chandra Bose, Tagore, Sardar Vallabhai Patel can only be a product of fiction or imagination. To think that they did not have any of the modern day training content like HRD, Soft-skills, Executive Communication, Leadership Camps, Yoga and Meditation, Career Counselling automatically creates the question how was the quality made. What might have been the evaluation system that ensured such a high decimal excellence (of course the word excellence was not used as widely as it is now). Surely, the evaluation system also must have contributed towards the quality of output from the colleges and the universities.
Not quite long ago, the educationists were very much aware that all examination related work was mechanical and would sap the creativity from the teaching faculty. Therefore, the examination work was entrusted to Tutors appointed for this purpose in non-science subjects and Demonstrators in science subjects. They undertook all the examination work under the guidance of the regular faculty. A conscious effort was made to reduce the evaluation work of the regular faculty. Such a system looks silly in the present day as most of the teachers are engaged in evaluation work most of the time under the semester system. Even the UGC, the highest facilitating body in Higher Education had the audacity of declaring that the evaluation work is mandatory on the part of teachers. However, it is heartening to note that some of the prestigious institutions like National Law School of Indian Universities are bringing back the Tutors System. Making the faculty to engage in the mechanical activity of evaluation for most part of the academic year and expecting quality only evinces the ignorance of the thinkers and administrators.
Repeatedly, we witness the concern about the falling standards in the writing ability of students and faculty. However, the will to understand the requirement for improving the writing ability is universally absent. It is always assumed that all the educationists know the changes that are to be made in the examination system. There is a Mac Donald type mindset for reducing the size of answer in examination. Everyone is fond of suggesting shorter questions on the ground that the evaluation would be easier or there would be better uniformity in the award of marks. A further academic perversion is to move towards objective type of questions. No one even tentatively ask the question whether long answers improve the writing ability or the short answers. In all examination reforms, the easiness of evaluation and the administrative convenience decide the change. It is never the improvement in the quality of students or honing their skill-set. The argument is always that objective types of answers are easy to value. Furthermore, it is argued that we can move towards computerization of evaluation and early announcement of results.
The system that existed may not be within the knowledge horizon of the young faculty. To put it within the level of their awareness, it is necessary to travel back in time and start at the genesis of the evaluation system. During 1975-77, when I was a student in the Post Graduate Department of Commerce at Manasa Gangotri, Mysore, Prof. J.K.Irani was fondly remembering the system that was no longer in existence. During his student days, the Graduation level question papers and Post Graduation level question papers had a distinct variation. All the Graduation level question papers contained essay type questions and the students were required to answer five questions out of ten questions. This was uniform to all the universities so that the pattern of question paper was universally known to everyone. This was the system under which most of the senior faculty of the present day obtained their degrees. At the Post Graduate level, question paper was vastly different in effect, but in form, it would look like not much different from the Graduation level question papers. At the PG level, there were ten questions, but the instruction in the question paper was to answer not more than five questions.
Not many will understand the effect of this difference, unless we explain the meaning of the instruction. An undergraduate student has to answer compulsorily five questions to target the maximum marks. At the PG level, the students can answer any number of questions, between one to five. If he attempts one question, it carries 100 marks, if he attempts two questions each question carries 50 marks, three questions carry 33 1/3 each and four questions attempted will assign twenty five marks each, and the final five questions will allot 20 marks each of the questions. What a splendid system of evaluation to ensure the writing ability of the students and what versatile teachers must have been there to evaluate such papers? The intellectual mind that invented this system and the minds that accepted the system comprised the faculty of that time. Leave alone acceptance of the system, it is better to avoid counting the number of minds that understand the beauty of such a pattern of question papers.
Here the text breaks off for calculated molecules >
'''
Computed, not measured: a structure of composition C38H33IrNO4S2 at a distorted geometry, with the ωB97M-V functional and the def2-TZVPD basis.

Geometry as XYZ:
```
79
Properties=species:S:1:pos:R:3:forces:R:3
Ir -0.085573 -0.116513 0.442011 -1.11 0.16 -1.38
O -1.716091 1.158363 0.884192 -0.61 0.76 0.04
S -2.558158 2.378837 0.434880 0.49 -0.26 0.33
C -4.237933 1.751406 0.158850 -0.02 -0.25 0.09
C -4.252141 0.300114 -0.297190 -0.08 0.04 -0.03
C -4.184545 -0.697345 0.858883 -0.11 0.00 0.03
C -4.060207 -2.128030 0.349550 -0.07 0.44 -0.09
S -2.338832 -2.567916 -0.027768 0.41 -0.01 -0.16
O -1.635628 -1.205377 -0.339004 -0.38 -0.14 0.00
C -1.868227 -3.065599 1.609784 0.18 -0.05 0.07
C -1.299538 -2.202625 2.528471 -0.06 0.05 0.10
C -0.954338 -2.673488 3.787666 -0.02 -0.04 -0.04
C -1.196749 -3.999140 4.116965 -0.03 0.00 0.01
C -1.791880 -4.852991 3.196588 0.00 0.00 0.02
C -2.124710 -4.392791 1.932704 0.09 -0.04 -0.09
C -2.168390 2.768523 -1.251677 -0.01 -0.14 -0.16
C -2.490593 4.060225 -1.651046 0.06 0.01 0.00
C -2.288045 4.427810 -2.972564 0.00 0.01 -0.01
C -1.760600 3.513130 -3.875530 -0.02 -0.01 0.02
C -1.439448 2.226852 -3.462261 0.01 0.01 0.02
C -1.643759 1.842160 -2.142995 -0.07 0.05 -0.07
H -4.633852 2.428816 -0.598227 -0.05 0.02 0.04
H -4.792447 1.911248 1.085052 0.07 -0.03 0.03
H -3.426236 0.142866 -0.988348 -0.05 -0.09 -0.06
H -5.171923 0.119253 -0.858110 -0.01 0.07 0.00
H -5.093722 -0.604553 1.456371 -0.02 -0.10 0.00
H -3.349991 -0.477632 1.523830 -0.03 0.09 0.02
H -4.631805 -2.288607 -0.566518 0.06 0.01 -0.01
H -4.369238 -2.871555 1.083527 0.00 -0.02 -0.01
H -1.160734 -1.147892 2.310147 -0.02 0.05 0.02
H -0.510608 -2.004069 4.512191 0.00 0.00 -0.01
H -0.929200 -4.366976 5.098216 0.00 0.00 -0.01
H -1.988599 -5.883388 3.459323 0.01 0.00 -0.01
H -2.565794 -5.063661 1.203993 0.04 0.00 0.00
H -2.892288 4.773680 -0.939541 0.01 -0.01 0.00
H -2.540503 5.428413 -3.296184 0.00 0.00 0.00
H -1.610171 3.801390 -4.907197 0.01 0.00 0.01
H -1.045822 1.512370 -4.173685 0.00 0.01 0.00
H -1.415377 0.832149 -1.831183 -0.04 -0.02 0.02
O 0.163799 -3.506671 -1.020373 -0.34 -0.04 -0.15
C 1.103678 -2.912488 -0.584792 0.21 0.55 0.27
N 1.063607 -1.654965 0.109349 1.37 -0.39 0.06
C 2.324470 -1.377100 0.575612 0.31 0.54 1.01
O 2.495058 -0.373542 1.272354 0.20 -0.48 -0.31
C 3.285680 -2.398411 0.128955 -0.11 0.10 -0.10
C 4.653173 -2.507448 0.274486 0.04 -0.03 0.02
C 5.268572 -3.590352 -0.350532 -0.08 -0.01 0.01
C 4.524556 -4.520308 -1.074745 -0.01 0.02 0.00
C 3.140161 -4.405305 -1.199160 0.06 -0.12 -0.01
C 2.546254 -3.323276 -0.589830 -0.20 -0.02 -0.09
H 5.221737 -1.788737 0.849896 -0.02 0.01 -0.02
H 6.340188 -3.714668 -0.270985 -0.01 -0.01 0.00
H 5.032678 -5.346378 -1.554126 0.00 0.00 0.03
H 2.558293 -5.130479 -1.752344 0.01 0.02 -0.01
C 5.985893 1.908321 -1.455418 -0.01 0.04 0.04
C 5.254411 2.435668 -0.387431 -0.03 -0.02 -0.02
C 3.900879 2.207292 -0.300650 0.04 0.07 0.12
C 3.255861 1.445774 -1.297325 -0.10 0.06 -0.14
C 4.011011 0.915891 -2.366565 0.10 0.00 -0.02
'''
Someone came on the scene, who wanted the PG and UG to have the same pattern of question papers and successfully ensured that the writing ability of UG and PG students to be brought on par. In other words, the PG studies were reduced to the level of the UG. He or they might have thought that they have improved the system vastly by making them uniform, without the sense to understand that they were at two levels of academic development. It is the same process by which, the standards are being brought down with every change that we are making pretending that we are improving the system. Different levels of study require a different system of examination is a wisdom long forgotten by everyone. At every level, there is a tendency to make the examination uniform. More of it can be taken at a later stage.
-- Inserted here: quantum chemistry results --
Below is an isolated molecule of C4H8NO2 at a distorted geometry, with properties calculated with ωB97M-V/def2-TZVPD.

Relative energy (zero: lowest compared OMol25 entry of this formula, charge and spin) ... 0.563 eV
Lowest unoccupied orbital energy (alpha / beta) ... 0.8 / -2.3 eV
Kohn-Sham gap (alpha / beta) ... 10.60 / 7.52 eV

Structure (ORCA input):
```
! wB97M-V def2-TZVPD RIJCOSX def2/J DEFGRID3
* xyz 0 2
O 1.8860 0.8086 0.2222
C 0.8450 0.2934 -0.1452
N 0.8683 -0.8314 -0.8996
C -0.2381 -1.6412 -1.4110
O 0.1377 -2.8630 -1.7622
C -0.5026 0.8514 0.2900
C -0.3795 1.3875 1.7250
H 1.7499 -1.2290 -1.1928
H -0.5804 -1.1331 -2.3262
H -0.9800 -1.6784 -0.5949
H -0.6457 1.7246 -0.3481
H -1.2809 0.1024 0.1516
H -1.3165 1.7363 2.1495
H 0.5432 1.9561 1.7943
H -0.1065 0.5159 2.3476
*
```

***

Below is a cluster of 2 separate species, C3H6O3S in total at a distorted geometry, with properties calculated with ωB97M-V/def2-TZVPD.

Relative energy (zero: lowest compared OMol25 entry of this formula, charge and spin) ... 1.887 eV
Lowest unoccupied orbital energy ... 6.2 eV
Kohn-Sham gap ... 5.58 eV

Structure (ORCA input):
```
! wB97M-V def2-TZVPD RIJCOSX def2/J DEFGRID3
* xyz -2 1
O -0.4064 -1.7474 0.2428
C -0.8680 -0.6091 -0.3590
O -1.5032 -0.3367 -1.3810
C -0.4370 0.7162 0.5127
C -0.2252 2.0729 -0.1740
S 0.1522 3.4548 0.9708
H -1.2456 0.6487 1.3699
H 0.5315 0.1567 0.8041
H -1.0588 2.5043 -0.8863
H 0.5891 1.9944 -0.7816
H 1.7904 -3.7045 -0.3476
H 0.9455 -2.2400 -0.1333
O 1.7356 -2.9104 0.1624
*
```

=====

Density functional theory data (ωB97M-V with the def2-TZVPD basis set) for a single C3H6O molecule at a distorted geometry.

Results
* total charge: 0
* HOMO-LUMO gap: 10.79 eV
* highest occupied orbital energy: -9.74 eV
* LUMO energy: 1.041 eV
* structure (SMILES): OC1CC1

Geometry (Å):
O (1.6349, -0.0128, 0.2019)
C (0.4315, -0.0528, -0.4923)
C (-0.6938, 0.6788, 0.1939)
C (-0.6380, -0.8389, 0.2004)
H (-1.2556, -1.3513, -0.4564)
H (-1.4497, 1.2801, -0.0951)
H (-0.3287, -1.3908, 1.0310)
H (-0.2974, 0.8869, 1.1549)
H (0.4247, 0.0291, -1.7630)
H (2.1721, 0.7717, 0.0247)


Density functional theory data (ωB97M-V with the def2-TZVPD basis set) for a single C3H6O2 molecule.

Results
* total charge: 0
* HOMO-LUMO gap: 10.60 eV
* highest occupied orbital energy: -9.82 eV
* LUMO energy: 0.785 eV
* structure (SMILES): O=CCCO

Geometry (Å):
O (-2.0984, 0.0587, -0.5472)
O (1.3784, 0.2310, 1.5362)
C (0.5142, -0.6808, -0.4936)
C (1.4851, 0.1320, 0.3359)
C (-0.7960, 0.1302, -0.0039)
H (2.2016, 0.7770, -0.2122)
H (0.5004, -1.7154, -0.1223)
H (-0.5015, 1.1855, -0.0021)
H (-0.8209, -0.2419, 1.0203)
H (0.8808, -0.7116, -1.5328)
H (-2.4906, 0.9432, -0.4707)


Density functional theory data (ωB97M-V with the def2-TZVPD basis set) for 3 unconnected molecules or ions with the total composition C3H6O2 at a distorted geometry.

Results
* total charge: 0
* HOMO-LUMO gap: 7.33 eV
* highest occupied orbital energy: -8.72 eV
* LUMO energy: -1.397 eV

Geometry (Å):
Dr.J.K.Irani wanted to retain a remnant of the old system, knowing fully well that he could not follow for all the subjects. Students in the final year M.Com were offered the opportunity of writing dissertation on a topic of their choice. This was regarded as special and so all the students were not compelled to take up dissertation. It was made clear that the students who would like to pursue their Ph.D programme after the completion of their PG course could opt for dissertation. For all other students, there was a General Essay Paper. Assignments were given throughout the year on varied topics concerning business and industry. In the examination, ten questions were asked and a student should attempt one question and write on that for three hours. In this system, Prof.Irani focused on two points: work involving intensive efforts like Project Report or dissertation should be assigned only to a limited number of students and not for all students in the class as no institution has sufficient number of faculty to monitor the progress of preparation done by all the students; the second was to ensure the improvement in the writing ability of the students by asking them to write the lengthiest answer stretching for three hours. There are many courses that make Project Report compulsory for all the students never bothering to determine the amount of time that should be spent by the faculty in guiding the students or how many faculty are there in the institution and also how much time is needed to evaluate the project report to award the marks.
To retrace our steps to the problem of making the examinations at different levels uniform with no logic, rhyme or reason, except for the administrative convenience, there is an increasing tendency to make the answers short. From 16 or 20 marks questions, there are questions that requires half the length with 8 marks, quarter length carrying 4 marks, 1/8 of it carrying two marks. There are also questions carrying one mark each. Then again, there should be no need for writing the answer. Give the objective type with multiple choice questions. There is no need to prepare for the examination. As life is subjected to chance factor as in ‘Kaun Banega Karodpathi’, the university question paper can also be such a chance effort. Objective type questions were never part of education system. It was designed only for conducting competitive examinations for the recruitment of employees. Organisations including banks conducted the examination at the national level. Therefore, the evaluation must take lesser effort and naturally the objective type was suitable. Moreover, they believed that the colleges and universities, by not following the objective types of questions, would ensure certain level of writing ability on the part of the students.
The entry of objective type of questions into the academic world is also not by a logical thinking; but only through a myopic understanding. In 1970s, PUC was affiliated to the respective universities. It was appropriate as only the universities can transform the students from the text book oriented system of high school education to the reference book oriented curriculum of university education. Again, administration is easy with each university taking care of the PUC in their affiliation jurisdiction. Then, a PUC Board was created with the argument that when the students compete at the state level, the differences among the universities do not offer a level playing field. But, the same Board started conducting a Common Entrance Test (CET), effectively disbelieving the PUC Certificates and marks cards issued by it. Where was the need for another examination, if the same body conducted the PUC examinations? There would have been some meaning, if PUC was offered by the respective universities. The arguments could have been given that different universities have different evaluation system and therefore the CET. Again, it had to be conducted at the state level. Evaluation took a lot of time. However, admission to medical and engineering colleges cannot wait for such a long time as the evaluation of CET papers required. The managements of these institutions wanted the multiple crore of rupees of capitation fees from the students as quickly as possible. The solution is anybody’s guess. Objective type of questions crept into the academic world to make the evaluation and tabulation process easier and less time-consuming.
At the degree level, the credit based semester saw the introduction of the system for the unwanted subject of Constitution introduced for all the degrees. One can see majority of the students out of the examination hall in 30 to 40 minutes. For other subjects and streams, it is not long before that objective type of questions will make their presence. The farce is not these developments, but it is the adoption of objective type of questions at the national level for the National Eligibility Test (NET) conducted by UGC as the additional qualification fora teacher or for the purpose of starting on a Ph.D Programme. The first serious issue is to whom the examination is to be conducted. It is for the students who have extensive knowledge on a vast number of topics with no intensive knowledge on any topic (not in the not more than five questions system discussed earlier). Faculty in the colleges prepare for one or a few topics in each class with intensive knowledge. Once accustomed to the system, their competence is to prepare intensively for a few topics. For them, if the objective type or any type of examination is conducted, wisdom dictates that those who fail in the examinations qualify and those who pass definitely disqualify. As this is not acceptable, the examination is also a wasted effort.
Not to be second to anyone in this respect, the universities introduce entrance examinations and course work for people who want to carry on a Ph.D programme. Again, there is not even an iota of intellectualism whether the examination and course work is appropriate at that level of study. Even the system of Ph.D, which we have borrowed from the USA has converted the programme into a one-time affair of conducting a statistical survey of a convenience sample. No earlier effort is needed before the programme and no continuity after that. It was amusing to listen to a Ph.D awardee, when she was felicitated by a subject association. She declared that she had no reading habit earlier and she did not know which books to refer. It was only her Guide who enlightened her about the books to be read. She also advised that everyone should have the experience as it gave the habit of reading. This was from a faculty who had put in a service of not less than 15 years in teaching (of course, with no reading habit). In Europe, an experienced faculty can submit the teaching material used by him to an expert committee appointed by a university. If the material has originality, the doctorate gets conferred. Such an arrangement connects teaching in the college and the Ph.D programme instead of making the degree isolated from teaching.
Not following such a system is a folly by itself. Adding insult to injury, and examination is conducted for all the aspiring candidates. To make matter worse, course work is made essential. They have to sit in classes and listen to the lecture of a set of prescribed topics. No one is questioning the fact that the time spent in the class room is the time taken away from research. Therefore, it is likely to reduce or convert the Ph.D programme into a class work and an examination. It is like an adult suffering from malnutrition getting advised by the doctor to go back to feeding bottle practice to gain what has been lost in the childhood. To further make it outrageous, give the suggestion that the adult must lie in a cradle and should start getting bottle-fed. The examination and course work are nothing but the feeding bottle and the cradle. What makes it further outrageous is, that no faculty is raising objection for the relevance of the system, but only want flexibility in doing the course work. No one feels that he is insulted to go back to the class work, where his own student in the UG who has joined University as a faculty may become the teacher. Nobody questions the relevance of a new examination introduced. The effort is made only to dilute it or make a superficial change. Otherwise, blame the failing candidates for not having the requisite quality.
Examination is desirable only at the entry level. What is needed afterwards is training of different types and varieties. Examination maladministered will yield the wrong results and create the negative effect on the employees. There are no training programmes for the faculty after their joining the profession. Managements do not even think about it seriously. Universities have become examination conducting agencies. Therefore, they show the least interest in developing the faculty in the affiliated colleges academically. UGC is obsessed with FIPs and Conferences. Every programme has to be a mega-event involving many lakh of rupees with dubious outcome. There is virtually nobody who is concerned with improving the reading and writing ability of the faculty and enhancing the subject knowledge. Even if the workshops are conducted by the Subjects Associations, either they are not deputed on the reason of disruption of the classes or they have no desire in attending the workshop. What the system of examination has failed to do, could not be corrected by the administration of higher education also. A teacher getting his qualification from a bad examination system is like a virus. It will go on multiplying by dividing or splitting itself. The total erosion of quality of the output of higher education is a direct outcome of the cause. The malaise can be corrected by understanding and adopting what has been directly or indirectly suggested through the glimpses of the past.